Thursday, December 6, 2007

Confessions of a Packrat

It's kind of hard to find a customization font that feels appropriate when they all look so damn professional, but for the sake of my readers I shall try my best. It just wouldn't be a Laura-esque Blog if I didn't make it slightly zany.

The reason for my late night/early morning posting is simply this: I am on duty on the day before reading day. And everyone knows that schools only institute reading days for one reason before exams, and that is so the students can recover from their various. . . celebrations once classes are officially over. I drew the short straw and had to cover tonight, and on the whole it has been VERY quiet.

That is, until I got the Five-AM phone call asking me to do a lock out.

You know me, once I am awake it is for good. So I decided to do something worth while and go ahead and get something posted on the blog.

As I shuffled the items on my Desk around to get to my computer, I was struck by a fact that made me look around my residence hall domicile.

In 5 semesters of College, I have gathered a TON of stuff.

Movie ticket stubs, programs from Theatre Shows, scraps of paper with random writings and more books than any 22 year old should really own are all over the place. I think I have kept Crayola in business over the past few years, as I keep finding markers and crayons and colored pencils--ah the joys of RA-ness, arts and crafts time even here at college. I love my job, it gives me an excuse to color.

And it wasn't until I was marveling over how many different shades of blue markers I own that the enormity of the trip I am preparing to take hit me.

I am going across the ocean for essentially five months, and all of the little things I bring with me to school as comfort won't be going with me.

My cork board decorated with Disney stuff has no spot in my suitcase, and neither do the twelve pillows currently piled on my bed. I doubt I'll need my army of coloring utensils while I am there, but take solace in that my knitting skill will find some use in the frigid climate.

How am I going to live without all of my STUFF?

Misplaced crystal structures >
/*
No. 1
A relaxed structure of Y3Ge2Rh2, computed with PBE.

Cell: 5.6153 7.8842 13.2379 Å, 90.00 90.00 90.00°
Closest atoms and distances in Å follow each position.
Fractional positions:
Y 0.6315 0.2519 0.2500  5 Ge 3.03-3.31, 4 Rh 3.04-3.06
Y 0.3685 0.7481 0.7500  5 Ge 3.03-3.31, 4 Rh 3.04-3.06
Y 0.3685 0.7519 0.2500  5 Ge 3.03-3.31, 4 Rh 3.04-3.06
Y 0.6315 0.2481 0.7500  5 Ge 3.03-3.31, 4 Rh 3.04-3.06
Y 0.1445 0.3934 0.1012  4 Rh 2.93-3.13, 3 Ge 2.99-3.26
Y 0.8555 0.6066 0.8988  4 Rh 2.93-3.13, 3 Ge 2.99-3.26
Y 0.8555 0.6066 0.6012  4 Rh 2.93-3.13, 3 Ge 2.99-3.26
Y 0.8555 0.8934 0.3988  4 Rh 2.93-3.13, 3 Ge 2.99-3.26
Y 0.1445 0.3934 0.3988  4 Rh 2.93-3.13, 3 Ge 2.99-3.26
Y 0.1445 0.1066 0.6012  4 Rh 2.93-3.13, 3 Ge 2.99-3.26
Y 0.1445 0.1066 0.8988  4 Rh 2.93-3.13, 3 Ge 2.99-3.26
Y 0.8555 0.8934 0.1012  4 Rh 2.93-3.13, 3 Ge 2.99-3.26
Ge 0.1314 0.1075 0.2500  2 Rh 2.54
Ge 0.8686 0.8925 0.7500  2 Rh 2.54
Ge 0.8686 0.6075 0.2500  2 Rh 2.54
Ge 0.1314 0.3925 0.7500  2 Rh 2.54
Ge 0.6543 0.2500 0.0000  4 Rh 2.59-2.61
Ge 0.3457 0.7500 0.0000  4 Rh 2.59-2.61
Ge 0.3457 0.7500 0.5000  4 Rh 2.59-2.61
Ge 0.6543 0.2500 0.5000  4 Rh 2.59-2.61
Rh 0.3736 0.0380 0.0932  3 Ge 2.54-2.61
Rh 0.6264 0.9620 0.9068  3 Ge 2.54-2.61
Rh 0.6264 0.9620 0.5932  3 Ge 2.54-2.61
Rh 0.6264 0.5380 0.4068  3 Ge 2.54-2.61
Rh 0.3736 0.0380 0.4068  3 Ge 2.54-2.61
Rh 0.3736 0.4620 0.5932  3 Ge 2.54-2.61
Rh 0.3736 0.4620 0.9068  3 Ge 2.54-2.61
Rh 0.6264 0.5380 0.0932  3 Ge 2.54-2.61

## Properties
* total DFT energy (no corrections): -199.46 eV/cell
* symmetry: Pbcm

***

No. 2
A relaxed structure of ZrGeRh, computed with PBE.

Cell: 4.0347 6.6657 7.6340 Å, 90.00 90.00 90.00°
Closest atoms and distances in Å follow each position.
Fractional positions:
Zr 0.2500 0.0222 0.8125  5 Ge 2.84-2.87, 6 Rh 2.98-3.15
Zr 0.2500 0.5222 0.6875  5 Ge 2.84-2.87, 6 Rh 2.98-3.15
Zr 0.7500 0.9778 0.1875  5 Ge 2.84-2.87, 6 Rh 2.98-3.15
Zr 0.7500 0.4778 0.3125  5 Ge 2.84-2.87, 6 Rh 2.98-3.15
Ge 0.2500 0.7680 0.3795  4 Rh 2.52-2.56
Ge 0.2500 0.2680 0.1205  4 Rh 2.52-2.56
Ge 0.7500 0.2320 0.6205  4 Rh 2.52-2.56
Ge 0.7500 0.7320 0.8795  4 Rh 2.52-2.56
Rh 0.2500 0.1468 0.4378  4 Ge 2.52-2.56
Rh 0.2500 0.6468 0.0622  4 Ge 2.52-2.56
Rh 0.7500 0.8532 0.5622  4 Ge 2.52-2.56
Rh 0.7500 0.3532 0.9378  4 Ge 2.52-2.56

## Properties
* total DFT energy (no corrections): -93.33 eV/cell
* symmetry: Pnma

***

No. 3
A relaxed structure of ZrGe2Rh, computed with PBE.

Cell: 8.0891 9.4168 10.5855 Å, 90.00 90.00 90.00°
Closest atoms and distances in Å follow each position.
Fractional positions:
Zr 0.7586 0.3285 0.0484  8 Ge 2.77-3.06
Zr 0.7586 0.8285 0.4516  8 Ge 2.77-3.06
Zr 0.7586 0.6715 0.9516  8 Ge 2.77-3.06
Zr 0.0000 0.6656 0.6791  7 Ge 2.82-3.01, 2 Rh 3.11
Zr 0.2414 0.8285 0.4516  8 Ge 2.77-3.06
Zr 0.2414 0.3285 0.0484  8 Ge 2.77-3.06
Zr 0.0000 0.1656 0.8209  7 Ge 2.82-3.01, 2 Rh 3.11
Zr 0.2414 0.6715 0.9516  8 Ge 2.77-3.06
Zr 0.2414 0.1715 0.5484  8 Ge 2.77-3.06
Zr 0.7586 0.1715 0.5484  8 Ge 2.77-3.06
*/
Here the page continues >

What do I take with me to remind me that yes, I will be coming home, and that freaking out is totally unwarranted?

It is also strange to think that the rest of the world isn't gearing up in preparation for my trip. The rest of my friends are getting ready for another semester, or going to work, or a thousand other every day things. And while I am conscious of this fact, my whole life is still centered on the trip and the wonders it really holds out for me.

What if I get there and never want to come back?

What if I get there and hate it?

The one thing I am not worried about is keeping in touch with others. I am a fairly stubborn person on that point, and I think that my experience as an army brat will help out there.

But most disturbing of all. . . given that I haven't even left yet and I'm facing facts that I don't particularly like about myself, what else am I going to learn?

Ah well, knowing me I am over-analyzing the situation. I am sure it will all pass in the blink of an eye and I'll be home before I realize it.

Which is why this blog is so important, I want to remember the day-to-day of it. When the journey is finally complete, I don't want to be standing at the end wondering what the hell I just experienced.

So, Dear Readers, (and yes, I am watching the Harry Potter version of that very soon) here we go. A glimpse inside the mind of my 22 year old self taking an adventure and getting the furthest away she has ever been from it all.

Like all things having to do with me, I am sure it will be thoughtful, annoyingly logical at times, blatantly emotional at others, with the occasional random story that takes ten pages to tell.

Stick with me for the ride, it promises to be most entertaining.